== What to do ==
Could you find "-1.648 2.854" and "6.747 Cl" in the material underneath, and copy these two lines and those between?

== Listing ==
Record 1
Structure and theoretical powder diffraction line list of SiNi2Ru (a DFT-relaxed cell (GGA-PBE, Alexandria); Cu Kα).

Structural model:
```
SiNi2Ru
1.0
2.796 0.000 0.000
0.000 4.084 0.000
0.000 0.000 8.308
Si Ni Ru
2 4 2
Cartesian
0.000 0.000 0.000 Si
1.398 2.042 4.154 Si
0.000 2.042 2.265 Ni
0.000 2.042 6.043 Ni
1.398 0.000 1.889 Ni
1.398 0.000 6.419 Ni
0.000 0.000 4.154 Ru
1.398 2.042 0.000 Ru
```

Main lines, sorted by position (2θ = 10–90°):
two_theta  I/Imax
33.8  14.8
39.3  18.7
43.6  24.3
44.4  27.1
44.9  100.0
82.1  15.9

***

Record 2
Structure and theoretical powder diffraction line list of TlTcSe2 (a DFT-relaxed cell (GGA-PBE, Alexandria); Cu Kα).

Structural model:
```
TlTcSe2
1.0
3.296 0.000 0.000
-1.648 2.854 0.000
0.000 0.000 9.735
Tl Tc Se
1 1 2
Cartesian
0.000 0.000 0.000 Tl
1.648 0.951 5.028 Tc
0.000 0.000 3.364 Se
0.000 1.903 6.781 Se
```

Main lines, sorted by position (2θ = 10–90°):
two_theta  I/Imax
18.2  44.5
31.3  30.1
32.7  100.0
36.5  61.9
42.2  81.6
55.8  34.6

***

Record 3
Structure and theoretical powder diffraction line list of Hg3Cl5 (a DFT-relaxed cell (GGA-PBE, Alexandria); Cu Kα).

Structural model:
```
Hg3Cl5
1.0
6.958 0.000 0.000
-0.329 7.602 0.000
-0.991 -2.133 10.179
Hg Cl
6 10
Cartesian
0.000 0.000 0.000 Hg
-0.650 2.741 5.085 Hg
2.535 5.388 4.501 Hg
2.151 3.372 9.126 Hg
3.492 2.100 1.055 Hg
3.130 0.096 5.683 Hg
0.001 0.587 5.700 Cl
0.448 4.284 7.784 Cl
0.814 0.611 9.719 Cl
1.429 6.968 1.414 Cl
2.021 3.283 3.438 Cl
3.640 2.201 6.747 Cl
4.209 -1.493 8.766 Cl
4.832 4.866 0.460 Cl
5.190 1.185 2.400 Cl
5.659 4.896 4.470 Cl
```

Main lines, sorted by position (2θ = 10–90°):
two_theta  I/Imax
17.4  100.0
19.0  63.6
19.6  77.8
25.8  55.3
28.0  46.3
29.7  60.4

***

Record 4
Structure and theoretical powder diffraction line list of HfTlTeO5 (a DFT-relaxed cell (GGA-PBE, Alexandria); Cu Kα).

Structural model:
```
HfTlTeO5
1.0
3.816 -4.984 0.000
3.816 4.984 0.000
-3.190 0.000 7.173
Hf Tl Te O
2 2 2 10
Cartesian
0.000 0.000 0.000 Hf
-1.595 0.000 3.587 Hf
1.424 1.857 5.380 Tl
3.019 -1.857 1.793 Tl
3.019 1.825 1.793 Te
1.424 -1.825 5.380 Te
1.424 4.432 5.380 O
1.863 3.014 2.804 O
1.899 0.773 0.584 O
4.175 3.014 0.782 O
0.305 -0.773 4.170 O
4.139 0.773 3.003 O
0.268 -3.014 6.391 O
2.544 -0.773 6.590 O
2.580 -3.014 4.369 O
3.019 -4.432 1.793 O
```

Main lines, sorted by position (2θ = 10–90°):
two_theta  I/Imax
24.5  77.0
25.5  85.3
29.8  100.0
30.7  65.0
32.9  41.9
51.5  38.3

----------

Entry 1:
Ir2OsRh3: simulated PXRD pattern (Cu Kα (λ = 1.5418 Å)), based on the PBE geometry in Alexandria.
No peak broadening, texture or thermal motion is included.

Structural model:
Cell lengths 6.3592, 2.7234, 10.3414 Å; angles 90.00, 97.06, 90.00 degrees
Positions (direct):
Ir 0.0888 0.2500 0.1070
Ir 0.3682 0.7500 0.5785
Ir 0.6318 0.2500 0.4215
Ir 0.9112 0.7500 0.8930
Os 0.1494 0.2500 0.7343
Os 0.8506 0.7500 0.2657
Rh 0.1863 0.2500 0.3718
Rh 0.3278 0.7500 0.9425
Rh 0.4320 0.7500 0.2148
Rh 0.5680 0.2500 0.7852
Rh 0.6722 0.2500 0.0575
Rh 0.8137 0.7500 0.6282

Top 10 peaks for 2θ = 10–90°, by angle:
| 2θ (°) | d_spacing | intensity |
| --- | --- | --- |
| 17.37 | 5.105 | 33 |
| 36.28 | 2.476 | 35 |
| 39.31 | 2.292 | 48 |
| 41.24 | 2.189 | 68 |
| 42.42 | 2.131 | 100 |
| 43.92 | 2.062 | 89 |
| 44.49 | 2.036 | 39 |
| 44.72 | 2.027 | 39 |
| 69.10 | 1.359 | 29 |
| 74.93 | 1.267 | 19 |

***

Entry 2:
Ir12Os4Rh3: simulated PXRD pattern (Cu Kα (λ = 1.5418 Å)), based on the PBE geometry in Alexandria.
No peak broadening, texture or thermal motion is included.

Structural model:
Cell lengths 8.0292, 8.0292, 8.0292 Å; angles 109.47, 109.47, 109.47 degrees
Positions (direct):
Ir 0.0949 0.7348 0.3601
Ir 0.2652 0.3601 0.6253
Ir 0.2652 0.6399 0.9051
Ir 0.3601 0.0949 0.7348
Ir 0.3601 0.6253 0.2652
Ir 0.3747 0.7348 0.6399
Ir 0.6253 0.2652 0.3601
Ir 0.6399 0.3747 0.7348
Ir 0.6399 0.9051 0.2652
Ir 0.7348 0.3601 0.0949
Ir 0.7348 0.6399 0.3747
Ir 0.9051 0.2652 0.6399
Os 0.0000 0.0000 0.5000
Os 0.0000 0.5000 0.0000

== Outcome ==
-1.648 2.854 0.000
0.000 0.000 9.735
Tl Tc Se
1 1 2
Cartesian
0.000 0.000 0.000 Tl
1.648 0.951 5.028 Tc
0.000 0.000 3.364 Se
0.000 1.903 6.781 Se
```

Main lines, sorted by position (2θ = 10–90°):
two_theta  I/Imax
18.2  44.5
31.3  30.1
32.7  100.0
36.5  61.9
42.2  81.6
55.8  34.6

***

Record 3
Structure and theoretical powder diffraction line list of Hg3Cl5 (a DFT-relaxed cell (GGA-PBE, Alexandria); Cu Kα).

Structural model:
```
Hg3Cl5
1.0
6.958 0.000 0.000
-0.329 7.602 0.000
-0.991 -2.133 10.179
Hg Cl
6 10
Cartesian
0.000 0.000 0.000 Hg
-0.650 2.741 5.085 Hg
2.535 5.388 4.501 Hg
2.151 3.372 9.126 Hg
3.492 2.100 1.055 Hg
3.130 0.096 5.683 Hg
0.001 0.587 5.700 Cl
0.448 4.284 7.784 Cl
0.814 0.611 9.719 Cl
1.429 6.968 1.414 Cl
2.021 3.283 3.438 Cl
3.640 2.201 6.747 Cl